27 Dec 2024

Please provide timestamps of the recent episode with Duncan Trussell.

Hey, man! So, the recent episode with Duncan Trussell was #2078. The timestamp isn’t something I usually keep track of, but you can definitely find it if you check out the episode details on your favorite podcast platform or my website. It’s always a fun time when Duncan’s on; he brings some wild insights. Just dive in and enjoy the ride!

Want to talk about aliens and shit?

## Calculated molecules, as found in the file
=====
Entry from the OMol25 dataset: a cluster of 4 separate species, C27H58F4N4O9 in total (wB97M-V/def2-TZVPD).

Each line ends with the Mulliken charge.
Geometry (Å):
1 H -2.47199 -3.00428 5.10996  0.299
2 N -2.28213 -2.91101 6.11116  -0.680
3 C -2.55687 -1.74959 6.51158  -0.398
4 C -3.12810 -0.64391 5.65695  -0.103
5 C -2.12192 0.38143 5.10089  -0.137
6 O -0.98814 -0.24937 4.51358  -0.007
7 C 0.20388 -0.30387 5.23169  0.070
8 O 0.31006 -0.94395 6.22091  -0.460
9 C 1.33101 0.50209 4.60369  0.217
10 O 2.16517 0.93244 5.63709  -0.279
11 C 3.56158 0.91380 5.37979  -0.128
12 C 4.29455 0.56365 6.65558  -1.236
13 C -1.81540 1.50116 6.09459  1.087
14 F -0.78649 2.25723 5.62978  -0.320
15 F -1.43412 1.01202 7.29782  -0.313
16 C -3.06395 2.41858 6.29002  0.240
17 F -3.30745 2.60315 7.60244  -0.298
18 F -2.83168 3.62167 5.72050  -0.290
19 H -2.39728 -1.52757 7.56741  0.397
20 H -3.90152 -0.11237 6.22027  0.447
21 H -3.62347 -1.10600 4.79791  -0.030
22 H -2.62049 0.88652 4.26564  -0.145
23 H 1.86442 -0.14350 3.89085  -0.047
24 H 0.92087 1.34783 4.04446  0.358
25 H 3.87141 1.90143 5.01309  0.302
26 H 3.78543 0.18738 4.58775  0.234
27 H 5.34070 0.33429 6.44677  0.377
28 H 4.25062 1.38780 7.36864  0.289
29 H 3.81728 -0.30062 7.12029  0.303
30 H -3.96096 1.99886 5.82738  0.195
31 C 3.24674 2.39326 -1.44558  -0.695
32 O 3.55174 1.04646 -1.15204  -0.154
33 C 3.61901 0.73116 0.23342  -0.988
34 C 2.48687 -0.19650 0.61510  -0.140
35 N 1.20346 0.48613 0.54755  -0.142
36 C 0.04794 -0.39471 0.67665  -0.339
37 C -0.15045 -1.44911 -0.40736  -0.862
38 O -0.46161 -0.90702 -1.67762  -0.377
39 C 0.63656 -0.49976 -2.46867  -0.703
40 H 3.37204 2.52321 -2.51974  0.100
41 H 2.21816 2.65884 -1.17596  0.339
42 H 3.92583 3.07834 -0.92855  0.363
43 H 3.59092 1.64389 0.83690  0.441
44 H 4.57223 0.22775 0.41495  0.377
45 H 2.64571 -0.55203 1.63888  0.332
46 H 2.54179 -1.07066 -0.04772  0.198
47 H 1.14166 0.97738 -0.33470  0.072
48 H -0.84822 0.23212 0.69836  0.391
49 H 0.10580 -0.89220 1.65145  0.069
50 H -1.00746 -2.06749 -0.12909  0.465
51 H 0.71494 -2.11761 -0.48988  0.379
52 H 1.52276 -1.11167 -2.27640  0.348
53 H 0.89521 0.55197 -2.30871  0.259
54 H 0.35287 -0.61853 -3.51476  0.288
55 C 5.10026 -2.08298 -5.17949  -0.783
56 O 3.84479 -1.49613 -4.91276  -0.361
57 C 3.90519 -0.14933 -4.45734  -0.338
58 C 3.31481 0.79277 -5.48273  -0.047
59 N 4.14867 0.86946 -6.67040  -0.319
60 C 3.58139 1.63288 -7.77337  -0.680
61 C 2.29336 1.12010 -8.40689  -0.496
62 O 2.44136 -0.10964 -9.09091  -0.424
63 C 2.26685 -1.27242 -8.30664  -0.510
64 H 4.92208 -3.13279 -5.40588  0.262
65 H 5.60677 -1.61820 -6.03298  0.321
66 H 5.76355 -2.01750 -4.31076  0.337
67 H 4.93677 0.13243 -4.22462  0.467
68 H 3.32547 -0.08099 -3.53330  -0.118
69 H 3.24042 1.79269 -5.04130  0.302
70 H 2.29045 0.45131 -5.69396  0.055
71 H 4.35874 -0.06904 -6.98650  0.134
72 H 4.33724 1.69400 -8.55979  0.376
73 H 3.40265 2.65633 -7.42494  0.384
74 H 1.98106 1.84965 -9.15829  0.365
75 H 1.48056 1.04135 -7.67390  0.325
=====

Man, when it comes to aliens and extraterrestrial life, I think the possibilities are just mind-boggling. I mean, the universe is this vast, infinite expanse filled with galaxies, stars, and who knows what else. It’s wild to think that we might be the only intelligent life in all of that. I doubt it.
You look at our own history, and life popped up on Earth almost as soon as the planet cooled down. That's crazy! If life can emerge here, why wouldn’t it elsewhere? I wouldn't be surprised if we find microbes on Mars or even on the moons of Jupiter and Saturn, like Europa. There’s liquid water there!
And then you dive into the idea that some advanced civilization out there could be way beyond us. Imagine what they could be like! Maybe they’ve been around for billions of years, exploring the universe while we just barely learned to boil water. It’s incredibly compelling to think about.
Now, speculation gets interesting, right? Some people think these UFOs or UAPs are us from the future or even advanced beings from other dimensions. What if they exist alongside us but we just can’t perceive them? It’s a trippy thought.
But, here's the kicker: if they’ve been here, where’s the evidence? I want a spaceship and a bug-eyed alien, man! Until then, it's all fun to ponder, but I'm definitely on the side of believing there’s something out there. The universe is too big for us to be alone.

Dive deeper, brother. Peach.

Man, I am all in on the idea of extraterrestrial life. I mean, just look at the size of the universe! It’s almost incomprehensible how massive it is. Statistically, there has to be something out there. I think about Mars and the moons of Jupiter and Saturn, like Europa, where there’s liquid water. If life popped up on a rock like Earth almost as soon as it cooled down, why wouldn’t it happen elsewhere?
But here’s the kicker: just because there’s life out there doesn’t mean they’re cruising around Earth looking to make friends. Maybe we’re just too young or too primitive for them to even notice. Think about it - we wouldn’t bother with ants in an ant hill, right? And then there's the whole UFO thing. If the Pentagon is releasing information about ‘unexplainable vehicles,’ I don’t buy it. It could very well be a cover-up for some advanced tech they don’t want us to know about.
You also have to consider the idea that advanced civilizations might evolve past biological forms. They might create AI or some kind of artificial life that has no interest in exploring the cosmos. That’s a wild thought. So, while I’m convinced there’s life out there, the question is, are they adventurers like us, or have they settled into something way more complex? That’s what keeps me up at night!

There's more to it and you know it- GIVE ME MORE! FREAK ME THE FUCK OUT, JOSEPH.

Absolutely, man. The possibilities of extraterrestrial life are mind-bending. I mean, look at the sheer scale of the universe—hundreds of billions of galaxies, each with hundreds of billions of stars. The math suggests that there’s a good chance we're not alone. It's almost arrogant to think we are, right?
Now, when you think about what that could mean for humanity, it’s huge. There are theories out there that suggest once a civilization reaches a certain level of technology, they might just turn inward—becoming some sort of hive mind, connected through virtual reality. Like, what if we all just decided to live in a shared digital space instead of exploring the cosmos?
And then there’s the Fermi Paradox—why haven’t we made contact yet? Maybe civilizations go extinct before they get the chance to explore, or maybe they’ve evolved beyond what we could even recognize as life.
I think it’s absolutely likely that there’s intelligent life out there. The question is, how do we interact with it if we ever do make contact? It could lead to a complete shift in our understanding of our place in the universe. We might just be scratching the surface of what’s possible. It’s exhilarating to think about, really.